**Listing**
+++
A) A cluster of 40 separate species, H80O40 in total, computed with ωB97M-V with the def2-TZVPD basis set.

ORCA input file:
```
! RIJCOSX wB97M-V def2-TZVPD def2/J DEFGRID3
* xyz 0 1
H 1.0442 1.1244 -1.0776
H 1.2992 0.3733 0.2892
O 0.6220 0.7835 -0.2790
H -3.4339 3.7400 -2.9804
H -4.3583 3.9419 -1.9242
O -3.6257 4.4442 -2.3443
H -1.5195 -4.7398 1.0690
H -0.5022 -3.6249 1.3953
O -0.5946 -4.5584 1.1993
H -0.9071 2.9150 0.7121
H -1.7401 4.2351 1.2526
O -1.0122 3.5820 1.3908
H 4.1984 -3.5346 0.1097
H 5.0994 -3.4798 -1.0423
O 4.1644 -3.5986 -0.8576
H -1.9444 5.8731 0.0974
O -2.3636 6.5797 -0.3703
H -0.3077 0.3058 4.3853
O -0.2956 0.7310 3.5385
H -2.0885 -1.6156 2.0995
H -1.0299 -0.6074 2.5914
O -1.1925 -1.5602 2.4758
H 3.1040 3.0089 -0.4006
H 3.9637 3.6335 -1.6187
O 3.8934 3.4661 -0.6962
H -1.1140 3.4378 3.1127
H -1.9247 3.7432 4.3734
O -1.1016 3.2304 4.0666
H 0.3030 2.8552 -4.6744
H -0.3607 1.5224 -4.2018
O -0.3564 2.5057 -4.0560
H 5.1233 -0.2638 2.4740
O 4.8958 -1.1953 2.6048
H -2.2846 -5.3433 2.8994
H -3.5738 -4.7664 2.4376
O -3.0571 -5.5709 2.3851
H 3.3426 4.6641 3.2334
H 3.6351 4.1815 1.9880
O 3.1619 4.9642 2.3443
H 0.5374 -1.9718 0.5698
H 0.1009 -0.8350 -0.5418
O 0.1745 -1.8360 -0.3235
H -3.4672 1.4910 -4.6929
H -2.2606 1.8727 -4.9278
O -3.0638 1.9931 -5.4854
H 2.6472 1.5746 -4.8051
H 1.4446 0.7281 -4.9397
O 1.7269 1.6131 -4.5600
H -1.0555 -1.1119 -2.2674
H -0.5897 -2.6089 -2.0234
O -1.0282 -1.9585 -2.6872
H 1.1786 -6.5370 -0.2764
O 1.1134 -6.0595 -1.1350
H -4.1994 -4.1802 -3.4990
H -2.7511 -3.9620 -3.0704
O -3.6463 -3.6398 -2.9428
H 1.3941 -2.2838 -6.0886
O 2.1315 -1.9026 -5.6276
H 1.0834 2.2418 5.3034
H 0.6096 3.6757 5.2991
O 0.8334 2.9272 5.9011
H 0.6619 -2.5418 4.4850
H 1.6489 -2.2073 5.6627
O 1.2983 -1.9248 4.8291
H -3.6035 -2.1392 4.2115
H -2.0971 -2.2707 3.9537
O -2.7754 -2.5715 4.5842
H 1.2201 4.6102 -2.0890
H 0.7722 3.4810 -3.2040
O 1.2681 3.7224 -2.4277
H 1.7215 -3.9100 1.9128
H 2.6567 -2.8945 1.3354
O 1.7107 -3.0190 1.6038
H 3.3884 0.0605 2.9693
H 1.8590 -0.4631 3.2255
O 2.5275 -0.1300 2.6515
H -3.0091 -1.2735 -4.6757
H -3.9393 -1.3812 -3.3717
O -3.6858 -0.8508 -4.1243
H -2.7001 -2.4595 -0.6654
H -1.5911 -1.9068 0.3106
O -2.0547 -2.6795 0.0197
H 3.5363 -0.7423 -2.6833
H 2.1084 -1.5113 -2.3414
O 2.5829 -0.6995 -2.5142
H -1.6002 2.1996 -2.0544
H -1.1367 1.1934 -0.8234
O -1.6057 2.0512 -1.1249
H -0.2223 -4.5940 -1.5079
O -0.6432 -4.9265 -2.3173
H -3.9842 4.7463 2.6925
H -3.8703 3.6074 3.8340
O -3.8366 4.5701 3.6338
H 1.7077 -5.3691 -0.8457
H -2.9549 6.1269 -0.9231
H 1.9399 -1.9749 -4.7082
H -0.6814 1.6043 3.6731
H 4.0971 -1.4450 3.0372
H -0.6598 -5.8819 -2.3733
O -4.5757 1.7870 1.8840
H -5.3387 1.2599 1.6491
H -4.9006 2.5025 2.4608
O 2.1371 2.1364 1.3800
H 2.6273 1.7705 2.1205
H 1.5762 2.8186 1.8115
O 0.3502 -0.1661 -6.2747
H 1.1770 -0.6354 -6.4821
H -0.2230 -0.7944 -5.8462
O -1.6156 0.1011 5.5946
H -1.6074 0.9022 6.0966
H -1.6715 -0.6257 6.1979
O 5.7000 1.3897 2.2102
H 5.4460 1.6085 1.3194
H 6.0500 2.1904 2.6434
O -2.0809 -2.7123 -5.1542
H -2.9920 -2.8791 -4.9745
H -1.4862 -2.8070 -4.4228
O 4.1073 0.3896 -0.5724
H 3.5343 1.1522 -0.7179
H 3.6567 -0.2080 0.0452
*
```

Output
HOMO energy (eV): -10.7
Frontier orbital gap (eV): 10.2

Here are the Mulliken charges for atoms 1 to 99, given in e: 0.043 -0.250 -0.078 0.255 0.335 -0.559 0.285 0.313 -0.711 0.278 0.070 -0.521 0.274 0.276 -0.550 0.306 -0.611 0.471 -0.254 0.396 0.164 -0.514 0.229 0.273 -0.597 0.377 0.246 -0.542 0.381 0.319 -0.823 0.374 -0.669 0.338 0.310 -0.647 0.331 0.259 -0.596 -0.387 0.448 0.479 0.317 0.322 -0.634 0.242 0.287 -0.558 -0.204 0.021 0.575 0.322 -0.620 0.269 0.271 -0.603 0.322 -0.741 0.261 0.338 -0.646 0.258 0.244 -0.532 0.308 0.391 -0.679 0.252 0.310 -0.505 0.213 0.015 -0.324 0.181 0.059 -0.298 0.513 0.263 -0.667 0.155 0.139 -0.423 0.212 0.181 -0.348 0.130 0.221 -0.413 0.372 -0.649 0.300 0.300 -0.623 0.212 0.302 0.328 -0.044 0.368 0.233

B) A cluster of 40 separate species, H80O40 in total, computed with ωB97M-V with the def2-TZVPD basis set.
+++
**Activity**
Now write out the whole of the rows earlier on exactly.
**Worked solution**
A) A cluster of 40 separate species, H80O40 in total, computed with ωB97M-V with the def2-TZVPD basis set.

ORCA input file:
```
! RIJCOSX wB97M-V def2-TZVPD def2/J DEFGRID3
* xyz 0 1
H 1.0442 1.1244 -1.0776
H 1.2992 0.3733 0.2892
O 0.6220 0.7835 -0.2790
H -3.4339 3.7400 -2.9804
H -4.3583 3.9419 -1.9242
O -3.6257 4.4442 -2.3443
H -1.5195 -4.7398 1.0690
H -0.5022 -3.6249 1.3953
O -0.5946 -4.5584 1.1993
H -0.9071 2.9150 0.7121
H -1.7401 4.2351 1.2526
O -1.0122 3.5820 1.3908
H 4.1984 -3.5346 0.1097
H 5.0994 -3.4798 -1.0423
O 4.1644 -3.5986 -0.8576
H -1.9444 5.8731 0.0974
O -2.3636 6.5797 -0.3703
H -0.3077 0.3058 4.3853
O -0.2956 0.7310 3.5385
H -2.0885 -1.6156 2.0995
H -1.0299 -0.6074 2.5914
O -1.1925 -1.5602 2.4758
H 3.1040 3.0089 -0.4006
H 3.9637 3.6335 -1.6187
O 3.8934 3.4661 -0.6962
H -1.1140 3.4378 3.1127
H -1.9247 3.7432 4.3734
O -1.1016 3.2304 4.0666
H 0.3030 2.8552 -4.6744
H -0.3607 1.5224 -4.2018
O -0.3564 2.5057 -4.0560
H 5.1233 -0.2638 2.4740
O 4.8958 -1.1953 2.6048
H -2.2846 -5.3433 2.8994
H -3.5738 -4.7664 2.4376
O -3.0571 -5.5709 2.3851
H 3.3426 4.6641 3.2334
H 3.6351 4.1815 1.9880
O 3.1619 4.9642 2.3443
H 0.5374 -1.9718 0.5698
H 0.1009 -0.8350 -0.5418
O 0.1745 -1.8360 -0.3235
H -3.4672 1.4910 -4.6929
H -2.2606 1.8727 -4.9278
O -3.0638 1.9931 -5.4854
H 2.6472 1.5746 -4.8051
H 1.4446 0.7281 -4.9397
O 1.7269 1.6131 -4.5600
H -1.0555 -1.1119 -2.2674
H -0.5897 -2.6089 -2.0234
O -1.0282 -1.9585 -2.6872
H 1.1786 -6.5370 -0.2764
O 1.1134 -6.0595 -1.1350
H -4.1994 -4.1802 -3.4990
H -2.7511 -3.9620 -3.0704
O -3.6463 -3.6398 -2.9428
H 1.3941 -2.2838 -6.0886
O 2.1315 -1.9026 -5.6276
H 1.0834 2.2418 5.3034
H 0.6096 3.6757 5.2991
O 0.8334 2.9272 5.9011
H 0.6619 -2.5418 4.4850
H 1.6489 -2.2073 5.6627
O 1.2983 -1.9248 4.8291
H -3.6035 -2.1392 4.2115
H -2.0971 -2.2707 3.9537
O -2.7754 -2.5715 4.5842
H 1.2201 4.6102 -2.0890
H 0.7722 3.4810 -3.2040
O 1.2681 3.7224 -2.4277
H 1.7215 -3.9100 1.9128
H 2.6567 -2.8945 1.3354
O 1.7107 -3.0190 1.6038
H 3.3884 0.0605 2.9693
H 1.8590 -0.4631 3.2255
O 2.5275 -0.1300 2.6515
H -3.0091 -1.2735 -4.6757
H -3.9393 -1.3812 -3.3717
O -3.6858 -0.8508 -4.1243
H -2.7001 -2.4595 -0.6654
H -1.5911 -1.9068 0.3106
O -2.0547 -2.6795 0.0197
H 3.5363 -0.7423 -2.6833
H 2.1084 -1.5113 -2.3414
O 2.5829 -0.6995 -2.5142
H -1.6002 2.1996 -2.0544
H -1.1367 1.1934 -0.8234
O -1.6057 2.0512 -1.1249
H -0.2223 -4.5940 -1.5079
O -0.6432 -4.9265 -2.3173
H -3.9842 4.7463 2.6925
H -3.8703 3.6074 3.8340
O -3.8366 4.5701 3.6338
H 1.7077 -5.3691 -0.8457
H -2.9549 6.1269 -0.9231
H 1.9399 -1.9749 -4.7082
H -0.6814 1.6043 3.6731
H 4.0971 -1.4450 3.0372
H -0.6598 -5.8819 -2.3733
O -4.5757 1.7870 1.8840
H -5.3387 1.2599 1.6491
H -4.9006 2.5025 2.4608
O 2.1371 2.1364 1.3800
H 2.6273 1.7705 2.1205
H 1.5762 2.8186 1.8115
O 0.3502 -0.1661 -6.2747
H 1.1770 -0.6354 -6.4821
H -0.2230 -0.7944 -5.8462
O -1.6156 0.1011 5.5946
H -1.6074 0.9022 6.0966
H -1.6715 -0.6257 6.1979
O 5.7000 1.3897 2.2102
H 5.4460 1.6085 1.3194
H 6.0500 2.1904 2.6434
O -2.0809 -2.7123 -5.1542
H -2.9920 -2.8791 -4.9745
H -1.4862 -2.8070 -4.4228
O 4.1073 0.3896 -0.5724
H 3.5343 1.1522 -0.7179
H 3.6567 -0.2080 0.0452
*
```

Output
HOMO energy (eV): -10.7
Frontier orbital gap (eV): 10.2

Here are the Mulliken charges for atoms 1 to 99, given in e: 0.043 -0.250 -0.078 0.255 0.335 -0.559 0.285 0.313 -0.711 0.278 0.070 -0.521 0.274 0.276 -0.550 0.306 -0.611 0.471 -0.254 0.396 0.164 -0.514 0.229 0.273 -0.597 0.377 0.246 -0.542 0.381 0.319 -0.823 0.374 -0.669 0.338 0.310 -0.647 0.331 0.259 -0.596 -0.387 0.448 0.479 0.317 0.322 -0.634 0.242 0.287 -0.558 -0.204 0.021 0.575 0.322 -0.620 0.269 0.271 -0.603 0.322 -0.741 0.261 0.338 -0.646 0.258 0.244 -0.532 0.308 0.391 -0.679 0.252 0.310 -0.505 0.213 0.015 -0.324 0.181 0.059 -0.298 0.513 0.263 -0.667 0.155 0.139 -0.423 0.212 0.181 -0.348 0.130 0.221 -0.413 0.372 -0.649 0.300 0.300 -0.623 0.212 0.302 0.328 -0.044 0.368 0.233

B) A cluster of 40 separate species, H80O40 in total, computed with ωB97M-V with the def2-TZVPD basis set.